A Call to Action to Help Update the Education and Tourism Systems in Tiotà:ke / Montreal!
This is a Call to Action to help update the Education and Tourism systems in Tiotà:ke / Montreal!
As a licensed tour guide and History teacher, I have recently been working on updating Montreal’s Tourism Industry and Education System because they are unbearably colonial, Euro-centric and mis-representative of First Nations, women and Other marginalized communities. This unfortunate situation is a direct result of the Quebec Department of Education’s ongoing insistence of mis-educating the general population, including with its recently debunked “History” curriculum.
Indeed, since the early 1600s, European colonial cultures have been revising historical facts to promote colonial projects on Turtle Island / North America, and this continues into the present. One needs only look at the 1606 Theatre of Neptune in New France and “The Society of Notre-Dame of Montreal for the Conversion of Savages of New France” (1639) as early pieces of Euro-centric “education” and revisionism.

More recently, the Residential School System has achieved the same effect of cultural genocide against Indigenous people for what is arguably the same Euro-centric colonial project.
It is time to stop this deceitful and colonial power imbalance dead in its tracks, if anything because the racist and sexist “History” curriculum renders everyone except white colonial males invisible, marginal or outright misrepresented.
Those excluded from the Quebec Education Department’s “History” curriculum include Women, First Nations, Black, Irish, Jewish, Muslim, LQBTQ, Disabled, Impoverished, Immigrant, Refugee and Other important communities.
The Quebec Education Department’s ongoing refusal to allow a real History program results in not only mis-education and generalized ignorance, but can lead to racism, sexism, homophobia, intolerance and hate against misrepresented and marginalized communities – and sometimes even more devastating consequences.

In the local Tourism Industry, things are just as outdated and Euro-centric. For example, Montreal by-law G-2 has created a monopoly/cartel of mostly white colonial-ancestry tour guides (A.P.G.T.) within the City’s boundaries. There is not even one First Nations guide operating legally on the un-ceded Indigenous territory of Tiotà:ke.
In the past, the A.P.G.T. has received complaints about racist language and discourse among its mostly white tour guides. For example, on May 18, 2017, a letter of complaint, from a conscientious local citizen, was sent via email to the A.P.G.T. and Tourisme Montréal.
“Good afternoon,
I live in Montreal and work in Old Montreal.
Tuesday of this week, as I was walking by the statue of Maisonneuve in front of the church, I could hear an English speaking tour guide telling his group (of about 20 tourists) about the ‘savages’.
He kept on talking and repeating ‘savages’ (with emphasis) and then I realized he was referring to our First Nations people.
I was at first very ashamed that we (Montreal) are referring to our native people this way- and the impression it must leave with the tourists. After all, we invaded their land and they were just defending themselves.
I did not react at that time- so I did not see which/if any ‘badge’ the tour guide had, therefore I am unable to say for whom he worked.
But I feel it is your responsibility to make sure ALL tour guides do not continue to refer to our natives as ‘savages’.
I will return every day during my lunch hour to that square- with my camera so if I see/hear this sort of language again- I will be able to film it. (if I do film this, I will send you a copy).
I sure hope that you are able to remedy this situation asap. Because it is not kind nor fair and I am embarrassed to be associated this.
Please advise your employees not to refer to them as savages.
Thank you very much for taking the time to read this.”
The racist guide was repeatedly pointing at the 1895 Maisonneuve Monument, which occupies the heart of Montreal’s tourist district in the center of the Place d’Armes. Surprisingly, this racist centerpiece of Montreal’s Tourism Industry was recently refurbished in 2009 instead of being removed from public sight and placed behind glass in a museum, where it belongs as a colonial relic of the past. 21st Century historiographical norms demand nothing less.

This tour guide’s performance is as disgusting as the racist statue that prompted it! I can only imagine him, frothing at the mouth like a rabid, savage animal that has yet to be captured by the S.P.C.A., as he delivers this outrageously racist monologue!
One of the problems is that Montreal bylaw G-2 has created a monopoly of mostly white tour guides. The bylaw states that it is illegal to be a tour guide unless “educated” at the ITHQ.

It is not easy trying to update outdated systems such as Education and Tourism, but it is a crucial first step towards decolonization. A good starting point is to see what the local First Nations themselves are doing in regards to Education and Tourism.
I recently visited Kahnawà:ke and had an amazing experience with guide Dwayne Stacey of Kahnawà:ke Tourism, who is also a History and Archaeology teacher at the Kahnawà:ke Survival School. His tour was very authentic and Indigenous – the exact type of experience 2.0 (next generation) tourists are thirsting for!

As a professor of History and Archaeology at the at the Kahnawà:ke Survival School, Mr. Stacey enjoys the right to teach real, authentic history because Kahnawà:ke is an independent First Nation and creates its own curriculum, based on historical facts, unlike the Quebec Education Curriculum’s Euro-centric “History” course (which I must teach). Sadly, this distorted “History” course was first ordered by a minority-government Parti Québécois in 2013, which aimed to employ the course to promote Quebec’s struggle for nationhood. It has since been widely-exposed as a piece of political propaganda and not actually a real History course.
These issues in Tourism and Education require immediate attention.
How can you help?
1. Begin by (re)educating yourself.
Due to ongoing mis-education by government “Education” systems, it can be very challenging to accept that we have not been taught properly and to try and seek out the Truth, as recommended by the Truth and Reconciliation Commission. One good starting point is the Indigenous Ally Toolkit, which states that “Educating yourself is an ongoing process. Change will not be easy and you will never truly be an expert on Indigenous challenges and realities, but you can work in allyship.”
2. Please be aware of problems in Tourism and Education
Montreal’s Tourism Industry has been described as too Euro-centric, as evidenced by Tourisme Montreal refusing to engage with the 2019 UN Year of Indigenous Languages, a mostly white cartel of tour guides (A.P.G.T), a tourism school (I.T.H.Q.) that fails to teach guides Indigenous history, vocabulary or perspectives and a by-law (G-2) that excludes guides from marginalized communities from operating legally. In line with the Recommendations and Calls to Action of the Truth and Reconciliation Commission and the M.M.W.G.I Calls to Justice, the Tourism and Education systems need to be updated.
3. Please join 2.0.
Join us in these important updates by requesting to join the 2.0 (Montreal Tour Guides/Guides touristiques de montréal) Facebook Group where we are actively discussing these issues with the view of taking future action to ensure the updates are not snarled by colonial viruses and whatnot. Please email optatif@gmail to request to join the secret group of post-colonialists.
2.0 was created because the original Guides touristiques de montréal group (run by the A.P.G.T.) does not allow guides outside of their monopoly, does not allow political discussion about important activist issues, such as Truth and Reconciliation, censors political discourse and refuses to discipline its members who use racist language and create racist imagery against indigenous people, on whose territory we operate.
Montreal exists on the un-ceded Kanien’kehá:ka (Mohawk) territory of Tio’tia:ke in northern Kanien’keh, also known as the Land of the Flint. The A.P.G.T. refuses to publicly acknowledge this fact on its website or do a territorial acknowledgement, in line with ancient Indigenous protocols.

The 2.0 page is a safe space to discuss all post-colonial matters relating to Montreal Tourism, Education, Journalism, Social Services and Arts & Culture. Any members who use racist language or deny that Montreal is on un-ceded indigenous territory will be immediately expelled.
2.0 is not only for tour guides and those wishing to guide, but also for post-colonial educators, activists, journalists, social workers, co-conspirators and supporters of Truth and Reconciliation initiatives and decolonization. If we build strong enough alliances and bonds, we can urgently update these broken systems sooner rather than later.

- - -
(1)
The following is a quantum chemistry calculation of 2 unconnected molecules or ions with the total composition C6H9PS at a distorted geometry, from the Open Molecules 2025 dataset.

Output
Relative energy (zero: lowest compared OMol25 entry of this formula, charge and spin), kJ/mol: 341.2
Largest force on an atom, eV/Å: 3.5
HOMO level, eV: -8.620
Orbital gap, eV: 9.23

Each atom is followed by the atoms it is bonded to, with distances in Å.
Element x y z (Å)
1 C 0.12906 2.26663 -0.39445  C2 1.320, H7 1.122, H8 1.180
2 C 0.61453 1.11217 0.02315  C1 1.320, P3 1.781, H9 1.192
3 P 1.81419 0.00340 -0.68715  C2 1.781, S4 2.151, C5 1.801
4 S 3.41532 0.16255 0.74067  P3 2.151, H10 1.408
5 C 1.18603 -1.59425 -0.14224  P3 1.801, C6 1.319, H11 1.206
6 C 0.01125 -2.18084 -0.27184  C5 1.319, H12 1.060, H13 1.146
7 H -0.54897 2.94114 0.19318  C1 1.122
8 H 0.22236 2.79539 -1.44509  C1 1.180
9 H 0.38736 0.74165 1.13318  C2 1.192
10 H 4.35889 -0.31872 -0.18755  S4 1.408
11 H 2.12678 -2.29321 0.14010  C5 1.206
12 H -0.14793 -3.21962 -0.13415  C6 1.060
13 H -0.98647 -1.61716 -0.29997  C6 1.146
14 C -3.30052 0.11994 0.88281  C15 1.219, H16 1.058
15 C -2.95328 0.50221 -0.22166  C14 1.219, H17 1.055
16 H -3.10412 -0.14643 1.88743  C14 1.058
17 H -3.22450 0.72514 -1.21640  C15 1.055

Here are the Mulliken charges for atoms 1 to 2, given in e: -0.55, -0.03

(2)
The following is a quantum chemistry calculation of 10 unconnected molecules or ions with the total composition C70H138N6O18 at a distorted geometry, from the Open Molecules 2025 dataset.

Output
Net charge: +1
Multiplicity: 2
Largest force on an atom, eV/Å: 4.2
Expectation value of S²: 0.7547
HOMO level (alpha / beta), eV: -9.567 / -9.567
Orbital gap (alpha / beta), eV: 6.95 / 3.25

Each atom is followed by the atoms it is bonded to, with distances in Å.
Element x y z (Å)
1 C 3.50520 -1.58030 4.87413  C2 1.584, H8 1.090, H9 1.090, H10 1.090
2 C 2.67405 -0.47098 5.63997  C1 1.584, C3 1.547, O7 1.436, H11 1.090
3 C 2.98518 -0.14607 7.12015  C2 1.547, O4 1.386, H12 1.090, H13 1.090
4 O 2.79951 1.22707 7.10630  C3 1.386, C5 1.381
5 C 2.74022 1.76313 5.83487  O4 1.381, O6 1.239, O7 1.332
6 O 2.73315 2.98421 5.62496  C5 1.239
7 O 2.92830 0.77176 4.96607  C2 1.436, C5 1.332
8 H 3.09055 -2.00988 3.96219  C1 1.090
9 H 3.60628 -2.40614 5.57830  C1 1.090
10 H 4.50229 -1.22465 4.61446  C1 1.090
11 H 1.60518 -0.66558 5.55200  C2 1.090
12 H 3.98966 -0.53873 7.27806  C3 1.090
13 H 2.23355 -0.72907 7.65236  C3 1.090
14 C -7.17710 0.29650 -5.99750  C15 1.553, H21 1.090, H22 1.090, H23 1.090
15 C -6.55859 -0.97237 -5.35097  C14 1.553, C16 1.511, O20 1.421, H24 1.090
16 C -5.05355 -0.85724 -5.27598  C15 1.511, O17 1.422, H25 1.090, H26 1.090
17 O -4.78870 -1.09218 -3.89898  C16 1.422, C18 1.359
18 C -5.94123 -1.01876 -3.18238  O17 1.359, O19 1.223, O20 1.326
19 O -6.05287 -0.91938 -1.96817  C18 1.223
20 O -6.97387 -1.14912 -4.00357  C15 1.421, C18 1.326
21 H -6.77065 0.45401 -6.99655  C14 1.090
- - -

4. Prepare for action.
The first step is to challenge Montreal’s Euro-centric by-law G-2 so we will be launching a campaign in early 2019 to officially scrap it.
We will need activists to send emails, post messages, help raise awareness and potentially carry out direct actions to liberate guided walks in Montreal from the oppressive by-law G-2. Guided walks are an ancient form of street performance and they are likely legally protected under Freedom of Expression, which takes precedence over municipal by-laws.
We will also have to lobby the new CAQ Minister of Education to update the offensive and racist “History” course being taught throughout colonial Quebec.
I look forward to working and performing in activist campaigns with you!
In Solidarity,
Donovan King, MFA, BEd, BFA, ACS, DEC
Please have a look at recent media reports about 2.0 members working on these issues and share with anyone who you think might be interested in these updates:
Montreal Gazette. Our streets are haunted, especially in Old Montreal. Bill Brownstein. October 27, 2022.
Global News. Mohawk Mothers demand investigation into potential unmarked graves at McGill University. Olivia O’Malley. October 20, 2021.
The Eastern Door. Mohawk question ignored by city. Laurence Brisson Dubreuil. August 27, 2021.
APTN. “What to do with Canada’s colonial statues, street names?“. Lindsay Richardson. June 26, 2020.
The Eastern Door. Montreal Bylaw Hinders Indigenous Tour Guides. Sarah Cooke. May 15, 2020.
Montreal Gazette. Montreal mulls bylaw change to allow unlicensed Indigenous tour guides. T’Cha Dunlevy, May 15, 2020.
OCPM. Submission for Public Consultation regarding Systemic Racism and
Discrimination in Montreal. Donovan King. October 30, 2019.
CKUT Radio with Sarah Deshaies. Interview with Donovan King about Griffin Tours and Problems in Montreal’s Tourism Industry. August 15, 2019
CJAD Radio 800 with Anne Lagacé Dowson. Interview with Donovan King about Haunted Montreal and Griffin Tours. July 9, 2019.
APTN National News. Local guide calls for revisions to Montreal’s colonialist monuments. Lindsay Richardson. July 3, 2019.
CBC Radio One – Daybreak with Ainslie MacLellan. Interview with Donovan King of Haunted Montreal. June 27, 2019.
CBC Montreal. On the 140th anniversary of Mary Gallagher’s murder, historian appeals to city to mark Griffintown sites. Elysha Enos. June 27, 2019.
Montreal Gazette. Will Montreal’s most infamous ghost appear Thursday night? Bill Brownstein. June 26, 2019.
CBC Radio One. All in a Weekend with Ainslie MacLellan. Interview with Donovan King. June 13, 2019.
CBC Montreal. Dream of memorial park in Montreal to honour Irish famine victims inches closer. March 17, 2019.
Radio-Canada. Bientôt un parc commémoratif à Montréal pour les victimes de la famine d’Irlande. 17 mars, 2019.
CBC News TV – Montreal. Great Famine Walking Tour. March 16, 2019. (clip runs 8:45 – 10:32)
The Eastern Door. Montreal Tourism To Better Reflect Native History. Lindsay Richardson. March 16, 2019.
Irish Central. “Green Season” celebrates and commemorates Irish in Montreal. Miles Murphy. March 15, 2019.
CBC News. Controversy over Indigenous representation pursues Robert Lepage play as it opens in Paris: Abenaki filmmaker attends premiere, says play overlooks history of Indigenous activism. December 17, 2018.
CBC News. Inuit children in Quebec youth protection left in ‘no man’s land’. Ainslie MacLellan. December 13, 2018.
CBC News. Indigenous youth in Quebec child protection told not to speak their own languages, sources say: ‘How can we still be doing this?’ asks Nakuset, executive director of the Native Women’s Shelter of Montreal. Ainslie MacLellan. December 12, 2018.
CBC News. Why losing her sister changed everything for Nakuset, and how she hopes to break the cycle. Nakuset. December 11, 2018.
University of Calgary Alumni Association. Careers in Motion: King of Montreal’s Hidden Histories Donovan King, MFA’04. Deb Cummins. December 11, 2018.
CBC News. Found and lost: Nakuset was separated from her sister Sonya during the Sixties Scoop, but reunited with her as an adult — only to lose her again to suicide. Ainslie MacLellan. December 11, 2018.
CBC Indigenous. Montreal tour guide wants more Indigenous history incorporated into industry training. Jessica Deer. November 8, 2018.
Montreal Times. Montreal Haunted Mountain Tour. Deborah Rankin. November 6, 2018.
McGill Tribune. Montreal tour guide highlights indigenous history. Leyla Moy. December 5, 2018.
The Eastern Door. Guide Wants Full History Of City During Tours. Lachlan Madill. November 2, 2018.
CityNews Montreal. TV interview with tour guide Donovan King, November 2, 2018.
CBC Radio One – Daybreak with Mike Finnerty. Interview with Donovan King of Haunted Montreal. November 2, 2018.